Friday, February 25, 2022

Timehop Reminders and Memories

Do you ever have one of those nostalgic days when you find yourself cleaning out a drawer, and suddenly you find a photo or item that instantly ushers you back in time? 

Maybe the technology at your fingertips supplies the reminder.  

I'm referring to the fun feature on social media or google photos that provides Timehop Reminders or Memories. It enables us to see and relive places we were on this exact day one, two or three years ago and more. Now don’t get me wrong, I love seeing the faces of my sweet children pop up, and the memories certainly bring to light how much they grow and change in one short year! The reminders are good. They cause me to make a conscious effort to slow down and savor moments with them, because they are growing at warp speed!

But, I am also reminded how those reminders can be a tool of the enemy to steal our present joy. Suddenly a really good, productive day becomes sad or filled with past guilt or regret. Before we know it, we have spent too many minutes lamenting a time that once was.

Memory. Some say it is our most treasured gift. I agree it is beautiful and certainly something to never take for granted. But, what about the hard memories? What do we do with the thoughts that cause us to remember friendships or loved ones no longer present? Or a life that looks drastically different from our present one?

I don’t think we need to live long on this earth to encounter hard goodbyes. We are naturally moving forward in our story. That forward movement means there are things which naturally change.

The wise Winnie the Pooh once said, “The only way to get to where I’m going is to leave where I’ve been.”

So simple. So true.

Isaiah 43:18-19 is one of my favorite reminders in scripture:

Forget the former things; do not dwell on the past. See, I am doing a new thing! Now it springs up; do you not perceive it? I am making a way in the desert and streams in the wasteland.

Recently, I shared lunch with a dear friend. This very subject came up. It is much harder not to dwell on the past in today’s world of constant reminders. Yet, dwelling in the past serves to hold us hostage there. It is impossible to appreciate today, in a world consumed with yesterday.

Jesus walked this earth before the printed or digital photos and social media reminders. He lived each day, noticing those right in front of Him. He lived in the moment; not staring at the past or fretting over the future. In His infinite wisdom, He knew how we would struggle with letting go of the past. He provided words in scripture to provide the answers to the hard questions of when and how to let go.

Heavenly Father,

Some days are hard. Some memories are hard. Help us recognize when a past memory is a tool used to steal our joy in you and the effectiveness of our faith.

Help us to “take those thoughts captive” IMMEDIATELY and not allow them to take one second of our present day. Help us to surrender those memories to you. Redeem our past mistakes with your Grace and help us to walk in the newness of today. Help us to see the NEW pathways you are providing. The blessing of the NEW relationships you are bringing into our lives.

The enemy comes to steal, kill and destroy all that you are doing presently in our lives.

 We speak your name over his antics.

We choose to live in the gift of today ..Amen


Monday, February 21, 2022

Worship Louder than Worry

What do we possibly do when we honestly have no idea what to do? When the worry is overwhelming. When the disappointment is too much. When we struggle to hope or dream again. When it seems like every door is closing. How do we respond?

First of all, if you are in any of these places right now, let’s pause together. I might not know you or your particular situation, but I am praying over you. In this moment. I am not brushing past this with a Mary Poppins smile or rose colored glasses. But my prayer is, that after reading this, you lift your eyes and dare to take on the impossible with a renewed determination to fight for your happy again, and to take steps to healing. You are worth it. There. Is. Hope. Because, hope is not in a feeling. Hope is not tied to a particular outcome, or place or circumstance. The true source of all HOPE is Jesus. And He is the ROCK that never rolls. He is the constant. The same yesterday, today and forever. He is not detoured by accidents or human choices. Nothing catches him off guard. He loves you. He is fighting for you. You can lift your hands, even in this moment and worship HIM. Let Him wash over your tired heart.

 I remember some of the hardest moments of my life, overwhelmed with questions and disappointment. I remember whispering the name of Jesus…And, Friend. He heard. I felt His presence like I have never felt Him before. And I have never been the same. I have never got over Him. I still have moments of struggle and worry. But I have never doubted the presence of the Lord again.

About 10 years ago, I started a Gratitude Journal after completing the powerful Ann Voskamp study, “One Thousand Gifts.” A simple practice of writing down 3 things we are grateful for at the end of every day. I was skeptical at the promise of it changing my life. I could not have imagined how much it would.

When we consistently choose to be thankful, our thoughts and perspective changes…possibly even BEFORE the circumstances change. The following is an exerpt from an article from  PositivePsychology entitled The Neuroscience of Gratitude and How It Affects Anxiety & Grief:

When we express gratitude and receive the same, our brain releases dopamine and serotonin, the two crucial neurotransmitters responsible for our emotions, and they make us feel ‘good’. They enhance our mood immediately, making us feel happy from the inside.

By consciously practicing gratitude every day, we can help these neural pathways to strengthen themselves and ultimately create a permanent grateful and positive nature within ourselves.

A grateful attitude not only changes our hearts, it literally creates new pathways in our thinking. Here is another stunning fact, Gratitude and Worry cannot coexist within our minds. One dominates the other. So, if gratitude can interrupt my worry, I am all for it. Natalie Grant once challenged a crowd to “Not let your worry be louder than your worship.” I captured this quote. In the moments when the worry is deafening. I will choose to raise a hallelujah, instead.

Tuesday, February 15, 2022

Blessed Beyond the Measure of a Date

........
# 1
Entry from the Materials Project database: an optimized crystal structure of DyCoSn (PBE-GGA).

The value obtained for the calculated formation energy is -0.489 eV/atom.

The space group is Pnma (No. 62) and the conventional cell measures 7.357, 4.582 and 7.235 Å, with angles of 90.00, 90.00 and 90.00 degrees. Symmetry generates all atoms from Dy at (0.026, 0.250, 0.199), Co at (0.148, 0.750, 0.442) and Sn at (0.203, 0.250, 0.611).

# 2
Entry from the Materials Project database: an optimized crystal structure of Na3Li3N2 (PBE-GGA).

The MP2020-corrected energy comes out at -23.7 eV per cell. For the total magnetization, the calculation gives 2.07 μB/f.u. The value obtained for the calculated formation energy is 0.339 eV/atom. For the energy relative to the lowest polymorph listed for this composition, the calculation gives 0.4429 eV per atom.

The space group is P-4m2 (No. 115) and the conventional cell measures 3.796, 3.796 and 10.801 Å, with angles of 90.00, 90.00 and 90.00 degrees. Symmetry generates all atoms from Na at (0.000, 0.000, 0.000), Na at (0.000, 0.000, 0.278), Li at (0.000, 0.000, 0.500), Li at (0.500, 0.500, 0.000), Li at (0.500, 0.500, 0.500) and N at (0.000, 0.500, 0.585).

# 3
Entry from the Materials Project database: an optimized crystal structure of Ge6Bi3N11 (PBE-GGA).

The MP2020-corrected energy comes out at -261.0 eV per cell. For the total magnetization, the calculation gives 0.00 μB/f.u. The value obtained for the calculated formation energy is 0.031 eV/atom.

The space group is P4bm (No. 100) and the conventional cell measures 10.657, 10.657 and 5.204 Å, with angles of 90.00, 90.00 and 90.00 degrees. Symmetry generates all atoms from Ge at (0.082, 0.206, 0.000), Ge at (0.117, 0.383, 0.524), Bi at (0.000, 0.000, 0.439), Bi at (0.188, 0.688, 0.423), N at (0.000, 0.500, 0.455), N at (0.074, 0.823, 0.144), N at (0.078, 0.224, 0.651) and N at (0.168, 0.332, 0.186).
........
[Here the article continues]

 A birthday. Everyone of us have one. It is the time stamped date – forever marked in our history- when we entered this world, took our first breath and our story began. It is the beginning date. It is our day. It is used for a host of purposes in our world of identity and calculations. We are often asked, “Do you feel any older today?” when, in all reality, we are no different than we were before the clock struck midnight. Only the calculation of time and years have changed.

For me, each birthday is a gift. I remember those I have known and loved who did not make it to celebrate another one. I am grateful and humbled with the gift of another year to celebrate this life and the many blessings and friendships I have made along the way. 

Today, I turned 42.

My story began February 16, 1980. I recently shared with some of my friends the truth that I have lived a lifetime already in this 42 years. I beat impossible odds as a pre-teen; once told by a doctor I would not live to see my 13th birthday nor would I be able to hold a baby of my own. God chose to fill my arms with not only one but four little ones.  John and I have lived in many places, serving in different ministry stops. We have met and loved countless, incredible people. I have held prominent positions and spent my days nursing babies and homeschooling. I have stood on stages speaking to rooms filled with convention guests, and I have sat on the floor of the church nursery playing blocks with toddlers while singing Jesus Loves Me. I have assisted great, noble leaders, and I have served in unseen positions. I have dreamed big dreams. Some came true. Some did not. At least, not yet. I have loved with the deepest of loves, and I have hurt and been hurt. I have struggled with silent pain, and I have cried along with the precious woman who just found out there is no longer a heartbeat. I have lived with an abundance. And I have lived with little. I have learned neither are the answer.

You see, we are each given a birthday. We do not know how many years will be represented by the dash in between our bookend dates. It is our blessing to spend every day and moment wisely. To invest in the people in front of us. To make choices that honor God and reflect the priorities we hold dear. The choices that, if looking back from the grave, we do not regret.

The simple. The beautiful. The treasured moments often cost nothing more than time.

What if we no longer measured our birthdays in years, but in memories and moments instead? What if we made the phone call? Wrote the note? Scheduled the visit? What if we stopped focusing on how many years old we are and instead chose to measure our lives by the moments which make up those years.

This year, I see a few more wrinkles around my eyes. I do not look the same, nor do I move with the same ease or agility. But I do most definitely still turn up the music, grab my family, and dance like nobody’s business. I sing and worship at the top of my lungs. I literally loose myself in a moment spent with my Jesus, when a verse in my morning’s Bible study takes my breath away. I know how to enjoy a good cup of coffee and a big slice of Reese’s peanut butter cake…and lay my head on my pillow knowing, I am blessed far beyond the measure of a date. ♥

Sunday, February 6, 2022

Did You See That?


“Momma, did you see that?” This has been the phrase of choice for our little Chace lately. At first I didn’t really notice it, until this past weekend. I was asked the question what seemed like one hundred times! It really caught me off guard. At first, my response was, “No, baby- I didn’t see it.” But then, I started paying very close attention. It shifted my focus from what I was doing to what Chace was watching, seeing and playing. I began intentionally watching throughout the day to make sure, when tested by my two year old, I could truthfully answer, “YES! I did see it!”

Wow..what a lesson! What began as a simple Saturday morning game, transpired into a much more intentional way of living for me. Of noticing. This morning, during my prayer time, it occurred to me the reason behind the lesson. I posted this on my Facebook page:

A sweet reminder to freeze frame moments today. Notice details of every conversation with children, your spouse, a coworker, friend and even stranger.

Make eye contact. Smile..Put aside distraction..really notice.

Each conversation and encounter is one of a kind.

May we live intentional lives today. Life is precious. Relationships are dear. Moments are fleeting.


“Teach us to number our days, that we may gain a heart of wisdom.” –Psalm 90:12

What if we really practiced what Psalm 90:12 encourages? How would our lives change? How much wisdom would we gain?

I know God’s Word is clear. God says what He means and means what He says. Hidden in this verse is a promise of a life transformed and a life filled with sacred wisdom. We learn from circumstances and encounters with people. I was once given a valuable piece of advice from a wise friend. "Treat every conversation like it is the most important one." Engage and listen for hidden lessons. Some conversations are short and seem irrelevant to our day. However, as a child of God, we know He is directing our steps. He is strategically directing our walk and placing people in front of us. For a reason.

I pray, we make it our intention to notice, to learn, to help and to number our days. We never know when it could be our last day. Make sure those you encounter today know how much you cherish them. Don’t wait to share words of encouragement. Tell them what they mean to you. Thank them for serving you. And by all means, be ready when asked, “Did you see that?”